HBKU’s Qatar Computing Research Institute and MIT ...
HBKU’s Qatar Computing Research Institute and MIT CSAIL Scientists Assemble for Annual Research Projects Meeting

**Inserted here: quantum chemistry results:**
'''
C12H36NO9S6V as an isolated structure, computed with ωB97M-V/def2-TZVPD.

## Properties
- Spin multiplicity: 4
- Expectation value of S²: 3.753
- LUMO level (spin up / spin down): -1.9 / -1.9 eV
- Total charge: +1
- Gap between HOMO and LUMO (spin up / spin down): 6.28 / 9.21 eV
- ΔE to the lowest compared entry with this formula, charge and spin: 101.0 kJ/mol

Cartesian coordinates (Å):
V1 -39.97 -19.78 5.80
N1 -37.45 -20.76 5.28
O1 -38.13 -21.13 6.28
O2 -37.91 -19.74 4.71
O3 -36.45 -21.36 4.92
C1 -39.43 -21.48 9.40
S1 -40.01 -19.77 9.27
O4 -40.53 -19.50 7.89
C2 -41.45 -19.89 10.37
H1 -40.18 -22.24 9.62
H2 -38.56 -21.51 10.05
H3 -39.06 -21.68 8.38
H4 -41.17 -19.83 11.42
H5 -41.99 -20.82 10.19
H6 -42.18 -19.09 10.23
C3 -41.77 -21.48 1.89
S2 -40.42 -20.58 2.66
O5 -40.40 -21.01 4.12
C4 -39.04 -21.55 1.95
H7 -41.54 -22.54 2.00
H8 -41.84 -21.14 0.85
H9 -42.69 -21.18 2.39
H10 -38.82 -21.28 0.91
H11 -39.32 -22.61 1.90
H12 -38.11 -21.49 2.50
C5 -44.38 -18.73 4.76
S3 -43.33 -19.94 5.58
O6 -41.98 -19.33 5.83
C6 -44.22 -20.11 7.13
H13 -43.83 -18.27 3.94
H14 -44.61 -17.91 5.44
H15 -45.24 -19.26 4.36
H16 -44.66 -19.16 7.45
H17 -43.62 -20.58 7.90
H18 -45.12 -20.70 6.93
C7 -36.44 -17.23 6.00
S4 -37.83 -16.98 7.17
O7 -38.81 -18.05 6.74
C8 -36.94 -17.62 8.63
H19 -36.87 -17.15 5.01
H20 -36.02 -18.22 6.12
H21 -35.67 -16.47 6.15
H22 -37.67 -18.03 9.33
H23 -36.38 -16.81 9.07
H24 -36.25 -18.44 8.41
C9 -40.45 -24.34 7.20
S5 -41.87 -23.19 7.04
O8 -41.29 -21.83 6.69
C10 -42.39 -23.85 5.43
H25 -39.77 -24.23 6.35
H26 -40.79 -25.37 7.07
H27 -40.03 -24.21 8.19
H28 -42.52 -24.93 5.39
H29 -41.66 -23.59 4.66
H30 -43.34 -23.40 5.11
C11 -41.65 -16.29 3.13
S6 -40.10 -16.62 4.00
O9 -40.17 -18.01 4.56
C12 -38.94 -16.71 2.61
H31 -41.43 -15.55 2.36
H32 -42.37 -15.85 3.82
H33 -42.06 -17.18 2.65
H34 -38.81 -15.71 2.18
H35 -39.26 -17.34 1.78
H36 -37.98 -17.03 3.01

Here are the Mulliken charges for atoms 1 to 8, given in e: 1.28, 0.79, -0.59, -0.40, -0.68, -0.63, 0.40, -0.61

***

A 6-piece molecular cluster, C12H36O12 overall, computed with ωB97M-V/def2-TZVPD.

## Properties
- SMILES: OCCO.OCCO.OCCO.OCCO.OCCO.OCCO
- LUMO level: 0.4 eV
- Gap between HOMO and LUMO: 10.09 eV
- ΔE to the lowest compared entry with this formula, charge and spin: 291.8 kJ/mol

Cartesian coordinates (Å):
O1 17.64 -6.87 13.34
C1 17.83 -8.30 13.16
C2 18.91 -9.04 14.18
O2 20.26 -8.97 13.84
H1 16.98 -6.50 12.75
H2 16.80 -8.64 13.25
H3 18.19 -8.52 12.15
H4 18.55 -10.05 14.39
H5 18.90 -8.44 15.10
H6 20.43 -8.03 13.69
O3 23.45 -11.05 12.54
C3 22.78 -10.44 11.43
C4 21.63 -11.18 10.97
O4 20.70 -11.26 12.08
H7 23.40 -12.00 12.41
H8 22.49 -9.42 11.70
H9 23.38 -10.41 10.53
H10 21.94 -12.20 10.74
H11 21.14 -10.90 10.03
H12 21.05 -10.69 12.76
O5 22.99 -13.81 15.15
C5 21.94 -13.00 15.54
C6 22.58 -11.63 15.96
O6 23.36 -11.76 17.14
H13 23.42 -14.14 15.93
H14 21.33 -12.88 14.65
H15 21.30 -13.44 16.30
H16 21.91 -10.78 15.89
H17 23.27 -11.35 15.17
H18 24.31 -11.70 17.02
O7 28.83 -12.23 12.96
C7 27.69 -12.89 13.54
'''

The Qatar Computing Research Institute (QCRI), a national research institute under Hamad Bin Khalifa University, and the Massachusetts Institute of Technology’s Computer Science and Artificial Intelligence Laboratory (MIT CSAIL) will hold their annual research projects review meeting at the Qatar National Convention Centre on Sunday, March 20 and Monday, March 21. The event will be open to the public on Sunday.

In the fourth of a seven-year agreement, the partnership between QCRI and MIT CSAIL continues to gain momentum, with scientists on each side of the collaboration co-leading multidisciplinary core computer science research projects. The partnership, named the Computer Science Research Program, is a medium for knowledge transfer and the exchange of expertise, as well as a platform to engage and train young researchers who are helping to build Qatar’s research capacity.

• The article is interrupted by records of molecules:
/*
# 1
C5H9N4O | the ωB97M-V functional and the def2-TZVPD basis

Geometry as XYZ:
```
19
Properties=species:S:1:pos:R:3:forces:R:3:mulliken_charge:R:1
C -3.079101 0.176809 0.061193 -1.4 0.2 0.0 0.473
C 1.147909 0.240191 -1.481411 -3.4 3.3 -0.9 -1.549
C 0.893909 1.170497 0.907732 0.7 2.2 0.5 -1.188
C 1.246639 -1.230390 0.552613 -3.4 -2.5 -1.0 -1.995
C 0.628739 0.025557 -0.066789 -3.0 -1.7 0.7 1.754
N -1.896834 0.729906 -0.128442 1.5 1.6 -0.6 -0.950
N -2.902430 -1.234915 0.236450 -0.3 1.1 -0.2 -0.578
N -1.621976 -1.428500 0.097413 0.5 -0.6 -0.1 -0.475
N -1.079857 -0.273939 -0.203618 4.6 -0.2 0.9 1.060
O -4.098503 0.893340 0.022904 -1.2 -0.9 0.4 -0.788
H 2.033514 -0.205214 -1.758429 2.1 -1.2 -0.1 0.379
H 0.354434 -0.079419 -2.227670 1.0 0.3 0.9 0.336
H 1.272783 1.384031 -1.637019 -0.2 -1.8 0.0 0.296
H 1.333060 2.115174 0.314104 -0.8 -2.1 1.6 0.220
H 1.598159 0.808755 1.737715 -0.5 0.7 -1.4 0.315
H 0.037797 1.566854 1.516242 0.3 -0.6 -1.1 0.305
H 1.088225 -2.127192 -0.179476 0.6 1.5 1.4 0.353
H 2.232453 -0.970418 0.688544 2.6 0.1 0.2 0.690
H 0.811086 -1.561126 1.547939 0.3 0.7 -1.2 0.343
```
Forces are in eV/Å.

Values from the calculation:
Total charge: -1
Orbital gap, eV: 6.0
Structure (SMILES): CC(C)(C)n1nnc([O-])n1
ΔE to the lowest compared entry with this formula, charge and spin, eV: 1.5897
E_HOMO, eV: -2.81

=====

# 2
C27H43KNO18 | the ωB97M-V functional and the def2-TZVPD basis

Geometry as XYZ:
```
90
Properties=species:S:1:pos:R:3:forces:R:3:mulliken_charge:R:1
K -0.767174 0.741061 0.837565 0.0 0.2 0.5 0.828
C -1.006443 -3.557972 1.149584 0.2 0.1 -0.7 -0.642
C -2.503562 -3.011533 1.034521 1.3 -1.9 1.9 0.499
C -3.174297 -3.055894 2.377765 -2.3 -3.5 1.7 -0.860
O -3.722332 -1.830614 2.669371 0.9 1.4 -0.1 -0.385
C -3.200318 -1.003631 1.764647 -2.1 2.9 2.1 0.127
O -3.390054 0.171006 1.811886 0.2 0.3 -0.3 -0.429
O -2.526273 -1.583032 0.826989 1.5 -2.3 -2.6 0.498
H -0.471485 -2.827606 1.806672 -0.2 -0.3 -0.9 -0.100
H -0.582186 -3.603181 0.085130 -0.2 0.1 1.6 0.084
H -0.762573 -4.572411 1.673084 -1.3 1.6 -1.1 0.428
H -3.183837 -3.703630 0.486118 0.8 1.4 -1.2 0.231
H -2.562988 -3.447271 3.204652 0.0 0.3 -0.2 0.260
H -4.128215 -3.641077 2.310767 1.2 -0.6 0.2 0.375
C 4.121880 4.635355 0.483852 1.2 2.9 0.3 -1.632
C 3.452021 4.148230 1.649572 1.5 -0.3 1.3 0.509
C 2.809990 5.119395 2.588283 0.7 0.4 -0.4 -0.526
O 1.629993 4.447324 2.861628 -2.0 0.0 2.4 -0.389
C 1.397273 3.465138 2.010064 -2.2 -2.5 0.2 0.306
O 0.371995 2.797310 1.967229 2.2 1.8 0.1 -0.530
O 2.486296 3.252660 1.288888 -1.9 -1.6 -1.0 -0.144
H 3.586950 5.385696 -0.090346 -0.4 -0.6 -0.6 0.349
H 4.635022 3.851644 0.028191 0.5 -1.1 -1.5 0.403
H 4.884097 5.245648 0.942473 0.9 0.4 -0.1 0.449
H 4.181054 3.616840 2.250177 0.3 -0.5 0.2 0.248
H 2.459749 6.011430 2.144553 0.3 1.4 -0.7 0.336
H 3.500151 5.357220 3.415117 -0.9 -0.3 0.1 0.310
C 3.410559 -2.070377 3.296891 0.9 -0.3 0.3 -1.349
C 2.287722 -2.399114 4.303298 0.1 4.1 -4.3 0.248
C 2.108289 -1.439732 5.426711 -2.3 -1.8 0.5 -0.665
*/

The annual research projects meeting will review the partnership’s eight main collaborative computing projects: Video Magnification and Video Comparison for Sports, Content-Adaptive Video Retargeting, Cross-Cloud: Phase 2, Understanding and Identifying Cultural Identities Across Platforms, Data Integration, Speech and Language Processing for Arabic, A Vertically-Integrated Approach to Resource-Efficient Shared Computing, and Understanding Health Habits from Social Media Pictures.

“We are at the midpoint of an incredible scientific collaboration with MIT CSAIL and are excited about what will happen during the partnership’s second half,” said Dr Ahmed K. Elmagarmid, Executive Director, QCRI. “We enjoyed an extremely positive response to last year’s annual projects review meeting and look forward to furthering participants’ understanding of the importance and impact that each of our eight projects is having on Qatar, the wider Arab region, and the world. QCRI and MIT CSAIL scientists have worked in earnest to build robust and impactful projects by tapping into what each does best and leveraging each other’s expertise. This year’s meeting will showcase these efforts.”

Supplementing the annual research projects meeting will be a public talk titled “Self-Driving Cars Are Coming” by Dr Daniela Rus, director of MIT CSAIL. Scheduled on March 20 at 4pm, the talk will focus on the development of state-of-the-art autonomous cars and the potential to increase the safety and efficiency of our transportation systems. A MacArthur Fellow and member of the National Academy of Engineering, Dr Rus’ research concentrates on robotics, data science and mobile computing. To register for the public talk, please visit https://self-driving-cars-are-coming.eventbrite.com.

Also on the sidelines of the annual meeting is QCRI’s “Coding is Cool” workshop, taking place on Monday, March 21 at 9am. The workshop is aimed at encouraging secondary school students to explore the field of computer science as a potential career. Last year’s event attracted nearly 100 student participants from eight schools in Qatar. This year, the workshop will focus on teaching basic concepts related to mobile app development using App Inventor, an MIT mobile app development tool.

[Someone pasted data records at this point]
........
Record 1
Here is C5H6N2O as an isolated structure from OMol25. Energies are from ωB97M-V/def2-TZVPD.

Its lowest unoccupied orbital energy is 0.0117 Ha. As for the energy relative to the best compared isomer or geometry (same formula, charge and spin): 137.35 kcal per mole. For the HOMO energy, the calculation gives -8.56 eV. For the calculated total energy, the calculation gives -10303.6475 eV. The spin multiplicity is 1.

Each line ends with the natural charge from an NBO analysis.
Cartesian coordinates (Å):
1 C 0.2079 -0.0099 -1.3456  -0.589
2 C -0.1660 -1.2792 -0.6203  0.758
3 C 0.5115 0.7049 -0.0556  0.507
4 N 0.8362 -1.1223 0.5067  -0.867
5 N 1.2790 1.6776 0.1846  -0.803
6 C -1.1802 0.7489 0.6576  -0.250
7 C -2.2449 1.1275 1.0966  -0.261
8 O -0.8751 -2.2167 -0.8049  -0.464
9 H 0.7425 -0.9547 1.5015  0.431
10 H 1.5776 -1.8228 0.4407  0.409
11 H 2.0074 1.4937 0.8702  0.392
12 H 1.1216 -0.1557 -1.9366  0.249
13 H -0.5987 0.4191 -1.9346  0.258
14 H -3.2187 1.3895 1.4396  0.231


Record 2
Here is C5H6N2O as an isolated structure from OMol25. Energies are from ωB97M-V/def2-TZVPD.

Its lowest unoccupied orbital energy is 0.0265 Ha. As for the energy relative to the best compared isomer or geometry (same formula, charge and spin): 90.40 kcal per mole. For the HOMO energy, the calculation gives -9.52 eV. For the calculated total energy, the calculation gives -10305.6834 eV. The spin multiplicity is 1.

Each line ends with the natural charge from an NBO analysis.
Cartesian coordinates (Å):
1 C 1.7900 -0.4151 0.2485  0.591
2 C -0.6553 -0.6887 -0.6232  0.293
3 C 0.4328 0.1047 -0.0015  0.071
4 C -1.5777 0.4737 -0.0620  -0.477
5 C -0.3534 1.2490 0.5167  -0.456
6 N 2.4266 -1.1725 0.8587  -0.634
7 N -0.7062 -1.8008 -1.1154  -0.558
8 O 1.6621 0.5001 -0.7951  -0.472
9 H -2.1743 0.8931 -0.8652  0.234
10 H -2.3342 0.2258 0.8217  0.229
11 H -0.3050 1.6726 1.4961  0.237
12 H 0.1133 2.1202 0.0266  0.239
13 H 3.3874 -1.0830 0.6836  0.359
14 H -1.7060 -2.0792 -1.1893  0.344


Record 3
Here is C5H6N2O as an isolated structure from OMol25. Energies are from ωB97M-V/def2-TZVPD.

Its lowest unoccupied orbital energy is -0.0182 Ha. As for the energy relative to the best compared isomer or geometry (same formula, charge and spin): 177.91 kcal per mole. For the HOMO energy, the calculation gives -8.26 eV. For the calculated total energy, the calculation gives -10301.8884 eV. The spin multiplicity is 1.

Each line ends with the natural charge from an NBO analysis.
Cartesian coordinates (Å):
1 C -1.2912 -1.0787 0.5103  -0.274
2 C -1.3875 1.1034 -0.1784  0.080
3 C -0.0216 0.5792 -0.5407  -0.237
4 C 1.1203 1.1025 0.0089  -0.005
5 C 0.0910 -0.7788 -0.5756  0.096
6 H -1.8610 -1.9844 0.1235  0.195
7 H -1.1350 -1.0623 1.5393  0.193
8 H -1.6905 2.0955 -0.1954  0.192
9 H 1.2526 2.2657 0.1379  0.231
10 H 2.3492 0.4482 1.6064  0.379
11 H -0.4524 -1.5353 -1.5974  0.223
12 N -2.2941 0.2165 0.2526  -0.376
13 N 2.1937 0.2977 0.3425  -0.293
14 O 1.3968 -1.1741 -0.1408  -0.403


Record 4
........
[Here the page continues]

To attend the event or review the agenda, please register at https://qcri-mit-csail-meeting2016.eventbrite.com.